For Time:
Thrusters 95/65
This is THE classic CrossFit couplet that has inspired and hooked so many CrossFitters over the years. So simple, yet so potent. The intention is for this to be brutally fast. The fastest times world-wide are completed unbroken and under 2 minutes. Scale accordingly. However, as always, there’s is room to gut out Rx’ing a benchmark such as this at a load or degree of difficulty that’s at the edge of your ability so you might also consider that when deciding what your “Fran” will look like today. Top athletes complete the reps unbroken and with minimal rest but your (and my) Fran might be very different. If you can do the 21 thrusters unbroken but then you wind up in a world of shit for the 21 Pull-Ups, then you should probably break those Thrusters up! Do you rest too much during the 15s? Have a strategy to minimize rest like: 3-5 breaths between sets or a controlled 3-5 count in your head. In any case, have a plan that is honest to your level of ability. Let your judge know your plan and ask them to help keep you to it. And as always, have fun!
Sub Jumping Pull-Ups or scale volume as needed. Use lighter bars and larger bumps as available to save the 10s and 15s!
Post time and Rx to comments.
Here’s Morit S. Squatting 325.2 lbs at Saturday’s USAPL New Jersey State Championship. Mo took 2nd in her weight class and was gracious enough to write a recap for us. Read on! | Video by Coach Margie
From Iron Maidens to the NJ State Championship
By Morit Summers
This year’s Iron Maidens Raw Open truly helped me realize that being on the platform under the bar is my happy place. So when Iron Maidens was over and I started to lose motivation, one night in May I randomly, without even thinking about it, signed up for the New Jersey State Powerlifting Championships. After I did that, I kind of freaked out and had no idea why I had done it. I had to buy and wear a singlet, which I really was not happy about, but more importantly, I had no coach. Thanks to Margie that wasn’t a problem for long!
Unfortunately and fortunately, throughout training for this meet, I had a lot of random awesome stuff come up and my training schedule was not exactly what I would have wanted it to be. I wasn’t truly excited, thinking this was going to be a disaster until a week before the meet when I had my last Big 3 day with Margie and I PR’d all my lifts!
It’s funny because I kind of bombed at the beginning of Iron Maidens. I didn’t listen for the commands. I could hardly hear them because I was so nervous. I think my heart rate was too loud! This time around I repeated the commands with Margie over and over again before each lift. I do not even remember lifting, because all I was doing was focusing on the commands! Somehow it really helped keep me calm and kept my racing heart race in check.
I’m super happy with my progress and my performance, and I’m excited for more!
First CrossFit Workout? CrossFit
The First Time “Fran” Was Posted to the CF Main Site
Morit- you are the strongest woman I know and you are amazing!!! Congrats. And put some weight on that bar!!!
Hey CFSBK, Having some "Farewell to CFSBK" cocktails at Lavender Lake on Thursday 6/11 @ 5:00. Come on by if you're in town.
Peter Hoppmann
Congrats Morit! Fantastic!
6am with Ro and McDowell
Partnered with James A. which is always a good thing.
Finished in 5:11 which is a 1:22 sec PR.
Awesome watching Kayleigh finish this Rx'd despite hands that resembled hamburger meat.
Morit! That weight moved! Good work!
6am with McD and Ro
Partnered with Matty, who is both coach in the gym and in life. Really going to miss you. Though I have a sneaky suspicion I will be seeing you in the evenings semi-regularly.
Fran – 4:59
A lot of PRs this morning and a lot of HHH (hamburger helper hands) – Kayleigh.
Fran @75# amd boxed pus. 4:58. Dont think i had 95 in me.
Wheezed all the way back home.
MO!!!! Amazing!
OG volume day:
HBBSQ 180x5x2, 180×8. The last rep was a griiiiiind.
Bench 120x5x2, 120×8. Very happy to have gotten 8s on both rep-outs again.
Then superset x3:
6 chinups (had to break this into 5 and 1 for the last set)
DB press 25×10. Rough.
Nat asked me this morning whether I was training for a meet. I'm not, but I feel like I should be! OTOH I'm looking forward to getting back into group classes, which I plan to do after Labor Day. I miss my 7 AM peeps!
Morit!!!!!!! Xoxoxoxo congratssss such awesome numbers you put up!!
6am with McD and Ro
Partnered with Roy, who always makes the pullups look so easy.
Fran 7:45 rx'd, which is a multi minute PR, I do believe. Thrusters in 13/8, 9/6, 9 with about 5 breaths in between. Pullups as singles. Definitely happy with this as the start of crush week.
Make up posts:
8/6 – Squat: 315×4 then racked. 14:43 rx'd. Still recovering from pneumonia, so took it easy.
8/7 – C+J: 100 kg, then failed an ugly 105 kg on the jerk. 1 Rnd + 25 DU rx'd. Took this as DU practice day.
[Calculated molecules that have nothing to do with the article]
+++
84
Properties=species:S:1:pos:R:3 method="wB97M-V/def2-TZVPD" de_lowest_ev=1.351 gap_ev=11.41 fmax_ha_per_bohr=0.03848 e_tot_ev=-40259.1713 multiplicity=1 smiles=CCCC#N.CCCC#N.CCCC#N.CCCC#N.CCCC#N.CCCC#N.CCCC#N mol_weight_g_mol=483.7
C 0.20 -0.20 -1.29
C 0.33 -1.60 -0.67
C -1.05 -2.28 -0.47
C -1.99 -1.52 0.36
N -2.71 -0.89 0.98
H 1.15 0.33 -1.16
H -0.58 0.40 -0.83
H 0.07 -0.18 -2.37
H 0.73 -1.51 0.34
H 0.88 -2.33 -1.27
H -0.87 -3.27 -0.04
H -1.47 -2.45 -1.46
C -2.31 1.40 -2.79
C -3.79 1.55 -2.45
C -4.25 3.01 -2.30
C -3.90 3.58 -1.01
N -3.60 4.04 -0.01
H -2.10 0.33 -2.77
H -1.64 1.90 -2.11
H -2.00 1.66 -3.81
H -3.90 1.07 -1.47
H -4.45 0.97 -3.08
H -5.34 3.06 -2.36
H -3.88 3.70 -3.06
C 3.35 -0.89 -5.50
C 2.03 -0.17 -5.74
C 1.34 -0.55 -7.04
C 1.26 -2.02 -7.25
N 1.16 -3.15 -7.40
H 3.29 -1.95 -5.25
H 3.91 -0.42 -4.69
H 4.00 -0.76 -6.37
H 2.22 0.91 -5.72
H 1.41 -0.28 -4.85
H 1.87 -0.11 -7.89
H 0.28 -0.27 -7.08
C 4.13 -1.30 4.49
C 3.01 -2.33 4.23
C 2.42 -2.39 2.82
C 3.30 -2.93 1.79
N 3.96 -3.29 0.92
H 5.12 -1.52 4.09
H 4.31 -1.37 5.56
H 3.86 -0.27 4.26
H 2.21 -2.31 4.96
H 3.55 -3.27 4.37
H 2.22 -1.34 2.57
H 1.48 -2.94 2.76
C 4.11 2.11 -0.68
C 4.64 1.05 0.31
C 5.67 1.57 1.30
C 5.17 2.65 2.16
N 4.78 3.50 2.81
H 4.97 2.54 -1.20
H 3.55 2.92 -0.23
H 3.55 1.58 -1.45
H 5.05 0.19 -0.22
H 3.78 0.67 0.87
H 6.61 1.96 0.88
H 5.99 0.73 1.91
C 0.26 1.09 2.56
C 0.72 2.05 3.65
C 1.02 1.39 4.99
C 0.04 0.42 5.50
N -0.70 -0.38 5.86
H -0.54 0.46 2.96
H 1.05 0.44 2.19
H -0.23 1.63 1.75
H -0.10 2.76 3.77
H 1.62 2.58 3.34
H 1.15 2.12 5.79
H 1.95 0.84 4.87
C -8.06 -0.34 1.68
C -6.55 -0.58 1.60
C -6.06 -1.37 0.38
C -6.56 -2.76 0.35
N -6.95 -3.84 0.32
H -8.43 -0.17 2.69
H -8.60 -1.16 1.20
H -8.43 0.50 1.09
H -6.32 -1.14 2.51
H -6.03 0.37 1.64
H -4.98 -1.48 0.40
H -6.35 -0.76 -0.47

----------

Record 1
Density functional theory data (the ωB97M-V functional and the def2-TZVPD basis) for a structure of composition C53H74BClN11O4STeV.

## Properties
- HOMO energy (spin up / spin down) (eV) = -6.57 / -6.70
- LUMO (spin up / spin down) (eV) = -0.64 / 0.19
- HOMO-LUMO gap (spin up / spin down) (eV) = 5.93 / 6.89
- 2S+1 = 3
- ΔE to the lowest compared entry with this formula, charge and spin (eV) = 0.434

Each line ends with the Mulliken charge.
CARTESIAN COORDINATES (ANGSTROEM)
V: 0.58 1.27 1.20  0.060
C: -1.57 3.63 -0.89  0.623
C: -0.62 4.78 -0.55  0.649
C: 0.01 5.36 -1.83  -1.778
C: 0.42 4.52 0.51  -0.276
C: 1.05 5.63 1.11  -1.871
C: 1.93 5.11 2.01  -0.390
N: 1.84 3.77 1.94  0.150
N: 0.93 3.41 1.03  0.897
B: 2.62 2.79 2.80  -0.582
N: 1.67 1.99 3.69  -0.373
C: 1.54 2.13 5.01  -1.091
C: 0.56 1.25 5.43  -0.873
C: 0.12 0.61 4.26  0.298
N: 0.80 1.10 3.22  1.536
C: -0.84 -0.55 4.25  2.002
C: -0.36 -1.60 5.25  -1.726
C: -2.26 -0.12 4.58  -1.508
N: 3.33 1.85 1.83  -0.112
C: 4.66 1.71 1.71  -0.901
C: 4.90 0.89 0.63  -1.094
C: 3.64 0.57 0.12  -1.231
N: 2.70 1.17 0.86  1.326
C: 3.42 -0.32 -1.06  3.402
C: 3.97 0.36 -2.31  -1.802
C: 4.14 -1.66 -0.87  -1.493
H: -2.41 4.02 -1.45  0.802
+++
[The article goes on]
8 AM with McDowell.
Fran 4:35 with 65# and ring rows.
really interesting to talk about how to think about working up to this kind of workout and
plan it out.
Way to go Morit.
7 a.m. wakeup with Fran; James, playing greeter, rightly busted my chops for not showing up at 6.
85# thrusters in 14/7, 9/6, 6/3
These went well and I'll aim for 90 in my next Fran.
BUT lingering shoulder problems led me to stick to jumping pullups. Finished in 6:58.
7am with McRo
Fran Rx – 9:39
First time ever doing this. First round went well, then it all fell apart. Seems to be how this goes the first time around. Was hoping to finish in the ~8:00 range going into it.
A few minutes ago I dropped a bottle cap and considered just being okay with littering for a day (I picked it up).
6am with RoDowell
Fran in 5:45 Rx about a 1:15 PR. Third time doing Fran and times have gone from 11:21->6:59->5:45. So pretty happy about that. Just need to hang onto that pull-up bar longer.
Thrusters were 11-10, 9-6, 9
Pull-ups were 7-7-7, 5-4-2-2-2, 3-2-2-1-1
Great vibe this morning and was awesome to watch Kayleigh do her first Rx Fran. And congrats Morit! 325# looked easy!
NICE, Morit!! Badass ladies abound.
High volume PR day in Strength Cycle.
LBBSQ 175x5x3
Bench 100x5x3
DL 200x5x1
7 AM-ers, sorry to miss Crush Week with you! Crush Week, I don't miss you, though.
First Rx Fran done, and quite messy as previously documented. 11:52. Forced myself to break up the thrusters 14-7 and 10-5 so I would be going into the pull-ups relatively fresh. Pull ups just take time – ripped on the first one of the set of 9. Proceeded to remove the largest chunk of skin I ever have from my hand before finishing (don't worry, cleaned everything up after). Many thanks to Joy and the entire 6 AM crew that helped cheer me through the end.
Clean + 3 Front Squats + Jerk: Worked up to 138#. Practiced elbow out instead of up for the front rack, which made a huge difference in keeping upright.
Strict C2B Practice: 5×5 with blue and red bands.
31 Heroes WOD – heavy thrusters, rope climbs, high box jumps, and sandbag runs galore.
Clean Pull + C&J: Worked up to 143, failed the jerk at 153. Just wasn't committed to it.
WOD: 4 rounds + 99 reps.
Also, Mo you are a rock star. Awesome work!!!
Thank you everyone for your awesome encouragement!!
Congrats, Morit! That's amazing.
On my less amazing day, 8 a.m. w/McDowell. As Charles said, really appreciated McDowell taking the time to break down how to game this workout out.
Fran: 8:53 @ 95#, 18-9-6 kipping pull-ups. Thrusters 12-9, 9-6, 9, pull-ups many short sets & singles.
Would've been there for significantly longer had I shot for the full set of pull-ups, so I scaled down after failing two in a row at the 18 mark in the first set, but this is the first pull-up workout in which I've stuck with kipping pull-ups all the way through since I learned how to kip earlier this year. Progress! Just gotta keep at it.
Fran: 6 and change. While over my PR. Just wanted to move– quads sore, tried from working in the sun all day yesterday, and the only thing that I did healthy last week was apply sun tanning lotion. It was great to see folks crushing old PRs and hitting this Rx for the first time.
Between the above accounts and all of the "First Fran tips" I've been reading all morning, I have serious Crossfit butterflies about tomorrow morning 7am. Can't wait.
Morit—it is inspiring and a privilege to watch you strive, conquer, and succeed.
Be proud becuase you are strong, and with that comes great responsibility. ??
Almost flaked on training tonight. Glad I turned the corner.
Run to gym with Penny, about 15 minutes.
:10 each 1-arm handstand hold (keeping legs closer)
6 lateral box step ups (24", minimal push)
5 strict TTB (getting better, straight legs!)
1-arm DB Press: 3×8 ea @ 35#
this was very very hard tonight. 2 reps up from last week. definitely lost position and got squirrelly on the back half of the sets. will push for 3×10 next week… :-/
3 sets: 8ea 1-leg RDL with 30# DB
EOMOM 10 min (5 sets)
:30 Front Rack Standing Hold @ 100% 1RM FSQ
Did this at 80kg/176# (my 1RM is 180). Holy hell that was intense! Warmed up at 60kg and 70kg, which already felt hard. Had to take really short and quick breaths, lots of shaking. Really didn't want to pass out. Had to sit down immediately. Very excited to see what this does to my FSQ and heavy cleans though!!!
about 10-15 minutes of seated stretching before heading home. solid.
Congratulations, Morit!
Warm up —
3x: 10 ea leg reverse lunges w/ 20kg, 20 hollow rocks, 5 HSPUs (abmat)
Snatch —
Triples up to 40kg, 45kg x 1, F
Singles @ 35kg, 39kg, 41kg, 42kg, 44kg — focusing on exploding upward
Had a really fun session with a client who brought his daughter and then had to rush home.
7:30 with DO and Ro
First time doing Fran RXd.
Finished in 7:50. Pull ups in many sets 🙂
Enjoyed watching Jay and Crum crush it.
6:30pm with RoMelo
Last time = 9:50. This time = 7:43.
Extremely pleased with the 2 min improvement. Disappointed because I wanted sub-7 and at 5:30mins, I was there. Then, I stopped being comfortable with the discomfort and got away from it as far as I possibly could. Megaprops to my partner Mo for keeping me honest and getting me back on the bars. Real talk, I wonder what my former self was doing for those extra 2:07.
Since I was the first wave, I got to cheer Mo on while he crushed my time by a min. I also got to watch other people do strong things and it was awesome. Next time Fran and I meet, I look forward to getting sub-6:30.
Now, time for me to be true to my word and honor my pact with Ariel and Commish Megan: sleep not for time.
Incredible, Mo!!! Congrats!
Frankie's Oly Class:
Snatch pull, snatch, snatch pull, snatch: 8 singles at 60% (63#)
Clean pull, hang clean, clean, jerk: 8 singles at 60% (78#)
Focused on having fast elbows and on using my legs on the initial pull off the ground.
Was happy to go light today bc I am sore.
So amazed at all these Fran PRs! I should take a rest day tomorrow, but I don't think I can resist her!!!
Noon on Tuesday
Was not looking forward to Fran. I've done it maybe 10 times over the years and have improved significantly over my first one which took a little over 10 minuets but figure that my best time of 4:51 is a few years behind me and not ahead. Alas:
Thrusters: 12/9, 9/6, 5/4
Pull Ups: 8/7/6, 6/5/4, 3/3/3
To many breaks and too much time spent on them. Never feels any easier. Glad that's over!
Here is an earlier Fran, and I believe there are many Fran's earlier than this Fran https://www.crossfit.com/workout/2004/07/06#/comments